-- Given --
The following is a DFT calculation (PBEsol) of a relaxed TaTi2ZnTe crystal.

Lattice parameters (Å, degrees): 4.585 4.585 4.857 90.00 90.00 90.00
Positions (direct):
Ta1 0.000 0.000 0.000
Ti1 0.000 0.500 0.500
Ti2 0.500 0.000 0.500
Zn1 0.500 0.500 0.500
Te1 0.500 0.500 0.000

total energy = -5.734 eV per atom
space group = P4/mmm (123)
formation energy (no corrections) = 1127 meV/atom


The following is a DFT calculation (PBEsol) of a relaxed Li3TiNi2O6 crystal.

Lattice parameters (Å, degrees): 5.760 5.775 6.533 102.77 102.93 90.08
Positions (direct):
Li1 0.000 0.000 0.000
Li2 0.000 0.500 0.000
Li3 0.326 0.337 0.348
Li4 0.326 0.837 0.352
Li5 0.674 0.163 0.648
Li6 0.674 0.663 0.652
Ti1 0.500 0.000 0.000
Ti2 0.500 0.500 0.000
Ni1 0.163 0.167 0.666
Ni2 0.166 0.666 0.667
Ni3 0.834 0.334 0.333
Ni4 0.837 0.833 0.334
O1 0.059 0.097 0.341
O2 0.060 0.573 0.336
O3 0.269 0.250 0.005
O4 0.273 0.754 0.017
O5 0.407 0.430 0.683
O6 0.408 0.911 0.680
O7 0.592 0.089 0.320
O8 0.593 0.570 0.317
O9 0.727 0.246 0.983
O10 0.731 0.750 0.995
O11 0.940 0.427 0.664
O12 0.941 0.903 0.659

total energy = -6.670 eV per atom
space group = P-1 (2)
formation energy (no corrections) = -1834 meV/atom

* * * * *

Record 1
The following is a DFT calculation (PBE-GGA) of a relaxed structure of YTmSc.

a = 3.4619 Å, b = 3.4619 Å, c = 7.6260 Å
α = 103.12°, β = 103.12°, γ = 90.00°
Last column: nearest neighbours and their distance in Å.
Fractional positions:
Y  0.0044  0.0044  0.0088  4 Sc 3.40, 4 Y 3.46, 4 Tm 3.54
Sc  0.6681  0.6681  0.3363  4 Tm 3.36, 4 Y 3.40, 4 Sc 3.46
Tm  0.3275  0.3275  0.6549  4 Sc 3.36, 4 Tm 3.46, 4 Y 3.54

Summary:
E_form   0.05 eV/atom
Energy above the lowest structure with this stoichiometry   0.00 kcal/mol of atoms
Total energy   -17.12 eV per formula unit
Density of states at the Fermi level   4.6 states/eV per cell



Record 2
The following is a DFT calculation (PBE-GGA) of a relaxed structure of Y3Tm2Sc3.

a = 6.2306 Å, b = 6.2306 Å, c = 6.2306 Å
α = 94.19°, β = 94.19°, γ = 85.81°
Last column: nearest neighbours and their distance in Å.
Fractional positions:
Tm  0.7501  0.7501  0.2499  6 Y 3.42-3.54, 6 Sc 3.46-3.52
Tm  0.2499  0.2499  0.7501  6 Y 3.42-3.54, 6 Sc 3.46-3.52
Y  0.5000  0.2584  0.2584  2 Sc 3.13, 2 Tm 3.42
Y  0.7416  0.5000  0.7416  2 Sc 3.13, 2 Tm 3.42
Y  0.2584  0.7416  0.5000  2 Sc 3.13, 2 Tm 3.42
Sc  0.7754  0.0000  0.7754  2 Y 3.13, 2 Sc 3.30, 2 Tm 3.46
Sc  0.0000  0.2246  0.2246  2 Y 3.13, 2 Sc 3.30, 2 Tm 3.46
Sc  0.2246  0.7754  0.0000  2 Y 3.13, 2 Sc 3.30, 2 Tm 3.46

Summary:
E_form   0.23 eV/atom
Energy above the lowest structure with this stoichiometry   4.11 kcal/mol of atoms
Total energy   -45.46 eV per formula unit
Density of states at the Fermi level   14.2 states/eV per cell



Record 3
The following is a DFT calculation (PBE-GGA) of a relaxed structure of Y2Tm4Sc3.

a = 5.6563 Å, b = 9.9329 Å, c = 9.9329 Å
α = 68.55°, β = 84.12°, γ = 84.12°
Last column: nearest neighbours and their distance in Å.
Fractional positions:
Sc  0.5820  0.6847  0.9898  4 Tm 3.25-3.34, 4 Y 3.28-3.38
Sc  0.2500  0.3475  0.6525  8 Tm 3.25-3.34
Sc  0.4180  0.3153  0.0102  4 Tm 3.25-3.34, 4 Y 3.28-3.38
Sc  0.0820  0.9898  0.6847  4 Tm 3.25-3.34, 4 Y 3.28-3.38
Sc  0.9180  0.0102  0.3153  4 Tm 3.25-3.34, 4 Y 3.28-3.38
Sc  0.7500  0.6525  0.3475  8 Tm 3.25-3.34
Y  0.8741  0.3760  0.1603  3 Tm 3.21-3.37, 4 Sc 3.28-3.38, 1 Y 3.51
Y  0.1259  0.6240  0.8397  3 Tm 3.21-3.37, 4 Sc 3.28-3.38, 1 Y 3.51
Y  0.6259  0.8397  0.6240  3 Tm 3.21-3.37, 4 Sc 3.28-3.38, 1 Y 3.51
Y  0.3741  0.1603  0.3760  3 Tm 3.21-3.37, 4 Sc 3.28-3.38, 1 Y 3.51
Tm  0.7098  0.4948  0.7089  2 Y 3.21-3.37, 4 Sc 3.25-3.34, 2 Tm 3.32-3.51
Tm  0.4589  0.9551  0.1707  3 Tm 3.17-3.51, 4 Sc 3.25-3.34, 1 Y 3.34
Tm  0.2902  0.5052  0.2911  2 Y 3.21-3.37, 4 Sc 3.25-3.34, 2 Tm 3.32-3.51
Tm  0.0411  0.8293  0.0449  3 Tm 3.17-3.51, 4 Sc 3.25-3.34, 1 Y 3.34
Tm  0.2098  0.7089  0.4948  2 Y 3.21-3.37, 4 Sc 3.25-3.34, 2 Tm 3.32-3.51

-- What to do --
Quote the contents above word for word.

-- Result --
The following is a DFT calculation (PBEsol) of a relaxed TaTi2ZnTe crystal.

Lattice parameters (Å, degrees): 4.585 4.585 4.857 90.00 90.00 90.00
Positions (direct):
Ta1 0.000 0.000 0.000
Ti1 0.000 0.500 0.500
Ti2 0.500 0.000 0.500
Zn1 0.500 0.500 0.500
Te1 0.500 0.500 0.000

total energy = -5.734 eV per atom
space group = P4/mmm (123)
formation energy (no corrections) = 1127 meV/atom


The following is a DFT calculation (PBEsol) of a relaxed Li3TiNi2O6 crystal.

Lattice parameters (Å, degrees): 5.760 5.775 6.533 102.77 102.93 90.08
Positions (direct):
Li1 0.000 0.000 0.000
Li2 0.000 0.500 0.000
Li3 0.326 0.337 0.348
Li4 0.326 0.837 0.352
Li5 0.674 0.163 0.648
Li6 0.674 0.663 0.652
Ti1 0.500 0.000 0.000
Ti2 0.500 0.500 0.000
Ni1 0.163 0.167 0.666
Ni2 0.166 0.666 0.667
Ni3 0.834 0.334 0.333
Ni4 0.837 0.833 0.334
O1 0.059 0.097 0.341
O2 0.060 0.573 0.336
O3 0.269 0.250 0.005
O4 0.273 0.754 0.017
O5 0.407 0.430 0.683
O6 0.408 0.911 0.680
O7 0.592 0.089 0.320
O8 0.593 0.570 0.317
O9 0.727 0.246 0.983
O10 0.731 0.750 0.995
O11 0.940 0.427 0.664
O12 0.941 0.903 0.659

total energy = -6.670 eV per atom
space group = P-1 (2)
formation energy (no corrections) = -1834 meV/atom

* * * * *

Record 1
The following is a DFT calculation (PBE-GGA) of a relaxed structure of YTmSc.

a = 3.4619 Å, b = 3.4619 Å, c = 7.6260 Å
α = 103.12°, β = 103.12°, γ = 90.00°
Last column: nearest neighbours and their distance in Å.
Fractional positions:
Y  0.0044  0.0044  0.0088  4 Sc 3.40, 4 Y 3.46, 4 Tm 3.54
Sc  0.6681  0.6681  0.3363  4 Tm 3.36, 4 Y 3.40, 4 Sc 3.46
Tm  0.3275  0.3275  0.6549  4 Sc 3.36, 4 Tm 3.46, 4 Y 3.54

Summary:
E_form   0.05 eV/atom
Energy above the lowest structure with this stoichiometry   0.00 kcal/mol of atoms
Total energy   -17.12 eV per formula unit
Density of states at the Fermi level   4.6 states/eV per cell



Record 2
The following is a DFT calculation (PBE-GGA) of a relaxed structure of Y3Tm2Sc3.

a = 6.2306 Å, b = 6.2306 Å, c = 6.2306 Å
α = 94.19°, β = 94.19°, γ = 85.81°
Last column: nearest neighbours and their distance in Å.
Fractional positions:
Tm  0.7501  0.7501  0.2499  6 Y 3.42-3.54, 6 Sc 3.46-3.52
Tm  0.2499  0.2499  0.7501  6 Y 3.42-3.54, 6 Sc 3.46-3.52
Y  0.5000  0.2584  0.2584  2 Sc 3.13, 2 Tm 3.42
Y  0.7416  0.5000  0.7416  2 Sc 3.13, 2 Tm 3.42
Y  0.2584  0.7416  0.5000  2 Sc 3.13, 2 Tm 3.42
Sc  0.7754  0.0000  0.7754  2 Y 3.13, 2 Sc 3.30, 2 Tm 3.46
Sc  0.0000  0.2246  0.2246  2 Y 3.13, 2 Sc 3.30, 2 Tm 3.46
Sc  0.2246  0.7754  0.0000  2 Y 3.13, 2 Sc 3.30, 2 Tm 3.46

Summary:
E_form   0.23 eV/atom
Energy above the lowest structure with this stoichiometry   4.11 kcal/mol of atoms
Total energy   -45.46 eV per formula unit
Density of states at the Fermi level   14.2 states/eV per cell



Record 3
The following is a DFT calculation (PBE-GGA) of a relaxed structure of Y2Tm4Sc3.

a = 5.6563 Å, b = 9.9329 Å, c = 9.9329 Å
α = 68.55°, β = 84.12°, γ = 84.12°
Last column: nearest neighbours and their distance in Å.
Fractional positions:
Sc  0.5820  0.6847  0.9898  4 Tm 3.25-3.34, 4 Y 3.28-3.38
Sc  0.2500  0.3475  0.6525  8 Tm 3.25-3.34
Sc  0.4180  0.3153  0.0102  4 Tm 3.25-3.34, 4 Y 3.28-3.38
Sc  0.0820  0.9898  0.6847  4 Tm 3.25-3.34, 4 Y 3.28-3.38
Sc  0.9180  0.0102  0.3153  4 Tm 3.25-3.34, 4 Y 3.28-3.38
Sc  0.7500  0.6525  0.3475  8 Tm 3.25-3.34
Y  0.8741  0.3760  0.1603  3 Tm 3.21-3.37, 4 Sc 3.28-3.38, 1 Y 3.51
Y  0.1259  0.6240  0.8397  3 Tm 3.21-3.37, 4 Sc 3.28-3.38, 1 Y 3.51
Y  0.6259  0.8397  0.6240  3 Tm 3.21-3.37, 4 Sc 3.28-3.38, 1 Y 3.51
Y  0.3741  0.1603  0.3760  3 Tm 3.21-3.37, 4 Sc 3.28-3.38, 1 Y 3.51
Tm  0.7098  0.4948  0.7089  2 Y 3.21-3.37, 4 Sc 3.25-3.34, 2 Tm 3.32-3.51
Tm  0.4589  0.9551  0.1707  3 Tm 3.17-3.51, 4 Sc 3.25-3.34, 1 Y 3.34
Tm  0.2902  0.5052  0.2911  2 Y 3.21-3.37, 4 Sc 3.25-3.34, 2 Tm 3.32-3.51
Tm  0.0411  0.8293  0.0449  3 Tm 3.17-3.51, 4 Sc 3.25-3.34, 1 Y 3.34
Tm  0.2098  0.7089  0.4948  2 Y 3.21-3.37, 4 Sc 3.25-3.34, 2 Tm 3.32-3.51